Starting Up a Small Business - Defining a Course of Action
A sure way to success in starting up a small business is to follow in the footsteps of those who have gone ahead.
What this does is that it reduces your learning curve dramatically in achieving your business goals.
In looking to start up your small business three crucial areas have to be considered.
I am working on the assumption here that you already have an idea in mind that you would love to execute and turn into a business.
These are: 1.
You will need to write a business plan for your new business.
A business plan is a document that is useful in more ways than one.
A lot of people make use of it just to raise funds for their new business and nothing else.
This will be a mistake - it can be put to greater use in that it will help you see clearly the potentials within your business idea and to know how potentially viable it is.
Of course, some people will rather outsource this work as it can be tedious and boring but doing this yourself gives you greater insight into your idea that you cannot get any other way.
Included in your business plan should be the results of market research which you need to carry out.
By necessity, this should be your starting point.
This aspect of your business plan should help you understand your entry point into the market place and help you put in place a plan for how you expect to survive and capture market share.
Your unique selling point and your target market are some of the things you will find out as a result of your market research that will help you survive in your new venture.
Managing your money and making a profit.
Once your business is up and running, you need to manage your money effectively to stay in business.
You need to know how much you will need for the day-to-day operation of your business, your break-even point for your particular business and of course the profit or loss position of your business at any given time.
Your accountant should be able to point you in the right direction in managing your business finances.
These figures are crucial in your decision making as you run your business.
You should also know how many units of your products and services you need to sell to enable you achieve these figures.
At the initial stage, it is a good idea to re-invest a part or all of your profits back in the business on a continual basis so that you can grow your business gradually over time without putting it under too much financial strain.
Finding and keeping customers In order to stay in business you need to find and retain customers or clients.
The result of your market research should help you to effectively target your marketing efforts towards your ideal customer, to increase your chances of success.
You have the option of employing offline or online marketing strategies or a mixture of both strategies to grow your business.
The trend these days leans towards marketing your business online to increase your business exposure.
The advantages of this are that the number of internet users is growing by the day and the limitation of your geographical location is practically lifted - as such the world is your oyster.
To take advantage of this you need to have an online presence or a website from which to operate.
Your reasons for wanting to start up a small business are as important as the journey itself.
This is because it helps you to define your business goals and keep you focussed when the going gets tough, which it will do sometimes.
Always review your reasons for starting up in business to keep you motivated and to keep the fire burning.
You will increase your chances of success in starting up your small business by paying attention to the above point mentioned - writing your business plan, managing your money and your profits while you continually find and keep customers.
What this does is that it reduces your learning curve dramatically in achieving your business goals.
In looking to start up your small business three crucial areas have to be considered.
I am working on the assumption here that you already have an idea in mind that you would love to execute and turn into a business.
These are: 1.
You will need to write a business plan for your new business.
A business plan is a document that is useful in more ways than one.
A lot of people make use of it just to raise funds for their new business and nothing else.
This will be a mistake - it can be put to greater use in that it will help you see clearly the potentials within your business idea and to know how potentially viable it is.
Of course, some people will rather outsource this work as it can be tedious and boring but doing this yourself gives you greater insight into your idea that you cannot get any other way.
Included in your business plan should be the results of market research which you need to carry out.
By necessity, this should be your starting point.
This aspect of your business plan should help you understand your entry point into the market place and help you put in place a plan for how you expect to survive and capture market share.
[Inserted here: quantum chemistry results]
- - -
Entry 1:
Entry from the Open Molecules 2025 dataset: C35H53Ge2O3Se2Ti as an isolated structure (ωB97M-V with the def2-TZVPD basis set).

For the energy above the lowest of the compared OMol25 structures with the same formula, charge and spin, the calculation gives 0.009 eV. The value obtained for the HOMO energy (alpha / beta) is -7.25 / -7.62 eV. The strongest force on any atom comes out at 0.0128 hartree/bohr. The expectation value of S² is 0.76.

```
! wB97M-V def2-TZVPD RIJCOSX def2/J DEFGRID3
* xyz 0 2
Ti 0.834 -0.099 0.497
C 2.540 -2.952 -0.805
C 1.356 -3.327 0.071
C 0.178 -3.758 -0.783
C 1.753 -4.426 1.045
O 0.944 -2.146 0.815
Ge 0.942 -1.958 2.700
O 2.344 -0.793 2.358
C 3.301 -0.318 3.332
C 2.970 -0.832 4.728
C 3.298 1.203 3.328
C 4.664 -0.850 2.901
O -0.232 -0.432 2.166
C -1.340 0.003 2.989
C -2.312 -1.159 3.137
C -0.793 0.435 4.342
C -2.009 1.164 2.278
H 2.865 -3.828 -1.371
H 3.373 -2.587 -0.205
H 2.259 -2.169 -1.513
H 0.465 -4.582 -1.439
H -0.147 -2.921 -1.404
H -0.656 -4.086 -0.161
H 2.056 -5.313 0.488
H 0.927 -4.710 1.699
H 2.600 -4.120 1.663
H 1.996 -0.476 5.069
H 3.718 -0.469 5.436
H 2.976 -1.923 4.772
H 2.312 1.593 3.588
H 3.572 1.592 2.347
H 4.019 1.582 4.056
H 4.661 -1.942 2.891
H 5.442 -0.516 3.590
H 4.914 -0.499 1.900
H -1.831 -2.018 3.608
H -2.699 -1.463 2.166
H -3.153 -0.859 3.764
H -0.357 -0.410 4.880
H -1.597 0.836 4.960
H -0.035 1.210 4.221
H -2.243 0.878 1.252
H -1.371 2.049 2.257
H -2.949 1.412 2.777
C 3.162 0.781 -2.265
Se 3.236 0.500 -0.341
C 5.567 3.514 0.306
C 4.603 4.371 0.023
Se 1.264 2.474 0.842
C 0.930 3.357 -0.853
H 4.175 0.667 -2.646
H 2.819 1.783 -2.506
H 2.510 0.049 -2.738
H 6.322 3.253 -0.425
H 5.628 3.028 1.270
H 4.539 4.843 -0.949
H 3.835 4.620 0.744
H 1.419 4.328 -0.839
H -0.140 3.474 -0.991
H 1.317 2.753 -1.665
C -0.073 0.051 -1.067
Ge -1.861 0.236 -1.768
C -1.945 -0.772 -3.448
C -0.879 -0.709 -4.346
C -0.900 -1.409 -5.543
C -1.996 -2.198 -5.861
C -3.063 -2.275 -4.981
C -3.035 -1.568 -3.786
C -2.295 2.104 -2.174
C -2.578 3.039 -1.177
C -2.837 4.366 -1.482
C -2.817 4.791 -2.803
C -2.550 3.879 -3.810
C -2.302 2.548 -3.496
C -3.266 -0.488 -0.622
C -3.153 -1.800 -0.162
C -4.167 -2.394 0.575
C -5.314 -1.675 0.876
C -5.444 -0.370 0.429
C -4.430 0.214 -0.321
H 0.651 0.146 -1.889
H -0.009 -0.102 -4.114
H -0.062 -1.343 -6.225
H -2.016 -2.750 -6.792
H -3.921 -2.890 -5.222
H -3.881 -1.644 -3.113
H -2.575 2.742 -0.137
H -3.044 5.073 -0.689
H -3.012 5.828 -3.044
H -2.539 4.197 -4.844
H -2.107 1.848 -4.300
H -2.261 -2.364 -0.379
H -4.061 -3.415 0.919
H -6.107 -2.132 1.455
H -6.338 0.196 0.658
H -4.556 1.230 -0.674
*
```

Results of the Mulliken charge analysis, in e, for atoms 1 through 2:
1 Ti -0.5325
2 C -1.4714

***

Entry 2:
Entry from the Open Molecules 2025 dataset: a 15-piece molecular cluster, C30H63Cl28NO2PS overall in a non-equilibrium geometry (ωB97M-V with the def2-TZVPD basis set).

The value obtained for the HOMO energy is -11.45 eV. The strongest force on any atom comes out at 0.0841 hartree/bohr.
- - -
Your unique selling point and your target market are some of the things you will find out as a result of your market research that will help you survive in your new venture.
Managing your money and making a profit.
Once your business is up and running, you need to manage your money effectively to stay in business.
You need to know how much you will need for the day-to-day operation of your business, your break-even point for your particular business and of course the profit or loss position of your business at any given time.
Your accountant should be able to point you in the right direction in managing your business finances.
These figures are crucial in your decision making as you run your business.
You should also know how many units of your products and services you need to sell to enable you achieve these figures.
At the initial stage, it is a good idea to re-invest a part or all of your profits back in the business on a continual basis so that you can grow your business gradually over time without putting it under too much financial strain.
Finding and keeping customers In order to stay in business you need to find and retain customers or clients.
The result of your market research should help you to effectively target your marketing efforts towards your ideal customer, to increase your chances of success.
You have the option of employing offline or online marketing strategies or a mixture of both strategies to grow your business.
The trend these days leans towards marketing your business online to increase your business exposure.
The advantages of this are that the number of internet users is growing by the day and the limitation of your geographical location is practically lifted - as such the world is your oyster.
To take advantage of this you need to have an online presence or a website from which to operate.
Your reasons for wanting to start up a small business are as important as the journey itself.
This is because it helps you to define your business goals and keep you focussed when the going gets tough, which it will do sometimes.
Always review your reasons for starting up in business to keep you motivated and to keep the fire burning.
You will increase your chances of success in starting up your small business by paying attention to the above point mentioned - writing your business plan, managing your money and your profits while you continually find and keep customers.